(To do)
It remains to duplicate only the lines below with the word "to" in them.

(Input)
-- begin --
[1]
Structure and theoretical X-ray diffraction stick pattern of Mg14CuBiO16 (the GGA-PBE geometry in the Materials Project; Cu Kα (λ = 1.5418 Å)).
No peak broadening, texture or thermal motion is included.

```
Mg14CuBiO16
1.0
8.7248 0.0000 0.0000
0.0000 8.7248 0.0000
0.0000 0.0000 4.3654
Mg Cu Bi O
14 1 1 16
direct
0.0000 0.2433 0.0000
0.0000 0.5000 0.5000
0.0000 0.7567 0.0000
0.2326 0.5000 0.0000
0.2368 0.2368 0.5000
0.2368 0.7632 0.5000
0.2433 0.0000 0.0000
0.5000 0.0000 0.5000
0.5000 0.2326 0.0000
0.5000 0.7674 0.0000
0.7567 0.0000 0.0000
0.7632 0.2368 0.5000
0.7632 0.7632 0.5000
0.7674 0.5000 0.0000
0.0000 0.0000 0.5000
0.5000 0.5000 0.5000
0.0000 0.0000 0.0000
0.0000 0.2646 0.5000
0.0000 0.5000 0.0000
0.0000 0.7354 0.5000
0.2348 0.5000 0.5000
0.2513 0.2513 0.0000
0.2513 0.7487 0.0000
0.2646 0.0000 0.5000
0.5000 0.0000 0.0000
0.5000 0.2348 0.5000
0.5000 0.5000 0.0000
0.5000 0.7652 0.5000
0.7354 0.0000 0.5000
0.7487 0.2513 0.0000
0.7487 0.7487 0.0000
0.7652 0.5000 0.5000
```

Most intense lines, 2θ from 15° to 90°, sorted by position:
2θ (°)	I/Imax
20.35	400
22.78	294
24.99	307
28.94	344
30.74	245
32.45	196
35.64	355
38.60	220
41.39	1000
59.96	583

[2]
Structure and theoretical X-ray diffraction stick pattern of Sr2MgCu2Bi2O8 (the GGA-PBE geometry in the Materials Project; Cu Kα (λ = 1.5418 Å)).
No peak broadening, texture or thermal motion is included.

```
Sr2MgCu2Bi2O8
1.0
-1.8008 1.8008 19.1319
1.8008 -1.8008 19.1319
1.8008 1.8008 -19.1319
Sr Mg Cu Bi O
2 1 2 2 8
direct
0.0989 0.0989 0.0000
0.9011 0.9011 0.0000
0.7500 0.2500 0.5000
0.4561 0.4561 0.0000
0.5439 0.5439 0.0000
0.3169 0.3169 0.0000
0.6831 0.6831 0.0000
0.0548 0.5548 0.5000
0.2222 0.2222 0.0000
0.3717 0.3717 0.0000
0.4452 0.9452 0.5000
0.5551 0.0551 0.5000
0.6283 0.6283 0.0000
0.7778 0.7778 0.0000
0.9449 0.4449 0.5000
```

Most intense lines, 2θ from 15° to 90°, sorted by position:
2θ (°)	I/Imax
18.55	461
25.70	291
27.37	1000
32.58	636
32.77	217
35.24	494
39.54	270
48.88	256
50.69	268
58.56	255

* * * * *

Theoretical powder X-ray diffraction pattern
Compound: VO2
Radiation: CuKα
Structure: a structure optimized by DFT (PBE+U)
Lines closer than 0.1° are merged.

Crystal structure
abc: 5.884 5.890 19.455
angles: 90.63 98.44 117.73
Fractional positions:
V1 0.000 0.000 0.000
V2 0.000 0.242 0.246
V3 0.006 0.771 0.747
V4 0.062 0.529 0.091
V5 0.228 0.630 0.359
V6 0.427 0.727 0.653
V7 0.439 0.219 0.157
V8 0.499 0.250 0.755
V9 0.501 0.500 0.000
V10 0.505 0.747 0.246
V11 0.518 0.028 0.493
V12 0.563 0.781 0.845
V13 0.725 0.359 0.616
V14 0.926 0.978 0.404
V15 0.940 0.469 0.905
V16 0.988 0.500 0.501
O1 0.097 0.782 0.937
O2 0.098 0.321 0.435
O3 0.107 0.578 0.683
O4 0.128 0.052 0.708
O5 0.133 0.311 0.943
O6 0.134 0.550 0.183
O7 0.136 0.804 0.435
O8 0.156 0.086 0.189
O9 0.349 0.661 0.060
O10 0.350 0.457 0.309
O11 0.358 0.709 0.559
O12 0.360 0.891 0.312
O13 0.368 0.196 0.063
O14 0.368 0.930 0.808
O15 0.401 0.467 0.813
O16 0.421 0.203 0.565
O17 0.603 0.071 0.684
O18 0.603 0.534 0.189
O19 0.610 0.821 0.433
O20 0.626 0.290 0.445
O21 0.632 0.065 0.195
O22 0.635 0.806 0.939
O23 0.636 0.562 0.689
O24 0.656 0.341 0.937
O25 0.845 0.909 0.813
O26 0.857 0.197 0.557
O27 0.864 0.947 0.310
O28 0.866 0.689 0.056
O29 0.869 0.458 0.810
O30 0.876 0.644 0.557
O31 0.900 0.212 0.061
O32 0.921 0.451 0.312

Top 10 peaks for 10 to 90 degrees two-theta, in order of rising 2θ:
Position (°2θ)	intensity
18.63	94
21.03	28
21.61	39
30.38	58
30.45	60
34.86	49
34.98	100
36.08	51
57.11	37
63.23	45

---

Theoretical powder X-ray diffraction pattern
Compound: VO2
Radiation: CuKα
Structure: a structure optimized by DFT (PBE+U)
Lines closer than 0.1° are merged.

Crystal structure
abc: 7.196 7.196 9.953
angles: 133.64 133.64 24.53
Fractional positions:
V1 0.157 0.157 0.495
V2 0.337 0.337 0.180
V3 0.663 0.663 0.820
V4 0.843 0.843 0.505
O1 0.159 0.159 0.952
O2 0.166 0.166 0.698
O3 0.207 0.207 0.366
O4 0.467 0.467 0.633
O5 0.533 0.533 0.367
O6 0.793 0.793 0.634
O7 0.834 0.834 0.302
O8 0.841 0.841 0.048
-- stop --

(Solution)
Most intense lines, 2θ from 15° to 90°, sorted by position:
Most intense lines, 2θ from 15° to 90°, sorted by position:
Top 10 peaks for 10 to 90 degrees two-theta, in order of rising 2θ: